The series of articles from the pen of William Bailie, begun in this number under the general title of Problems of Anarchism, will probably continue for many months and will deal with most of the sociological questions with which the Anarchistic movement is concerned. I have seen but a small part of the manuscript as yet, but, knowing Comrade Bailie as I do and the excellent articles that he has previously written for Liberty, I feel justified in beginning its publication, regardless of any deviations from Liberty’s chosen path that future chapters may show. I do not expect that his views will differ materially from Liberty’s, but in any case Comrade Bailie’s earnestness and ability furnish a perfect guarantee that the differences which may develop will be worth considering.
Molecular data from another source follow:
# C7H12N

A gas-phase ion, C7H12N (charge +1) at a distorted geometry (the ωB97M-V functional and the def2-TZVPD basis, the OMol25 dataset).

The LUMO energy is -3.45 eV. The energy above the lowest of the compared OMol25 structures with the same formula, charge and spin is 83.65 kcal/mol. The net charge is +1. The structure (SMILES) is C=C[C@@]1([NH3+])CC12CC2.

Geometry (Å):
1 C -2.70990 0.77108 0.29676
2 C -1.48276 0.89680 -0.14905
3 C -0.51801 -0.20422 -0.24416
4 N -0.78435 -1.51497 0.35705
5 C 0.45714 -0.37975 -1.48031
6 C 0.91457 0.04531 -0.16897
7 C 1.91422 1.16611 0.18517
8 C 2.18543 -0.23670 0.67971
9 H -3.27458 1.68086 0.26091
10 H -3.42937 0.02777 0.64425
11 H -1.12806 1.70981 -0.57399
12 H -1.66962 -2.07178 0.10972
13 H -0.88990 -1.36233 1.33836
14 H 0.02841 -2.00081 0.25239
15 H 0.70111 -1.44330 -1.68831
16 H 0.46525 0.48965 -2.13522
17 H 1.67274 1.97041 0.92001
18 H 2.49202 1.65689 -0.62117
19 H 2.98090 -0.84791 0.24492
20 H 2.07475 -0.35291 1.77193

---

# C2N2O4S2

2 unconnected molecules or ions with the total composition C2N2O4S2 at a distorted geometry (the ωB97M-V functional and the def2-TZVPD basis, the OMol25 dataset).

The LUMO energy (spin up / spin down) is -4.85 / -5.91 eV. The energy above the lowest of the compared OMol25 structures with the same formula, charge and spin is 104.75 kcal/mol. The net charge is 0.

Geometry (Å):
1 C 1.62701 -0.92959 -0.14296
2 C -1.94229 1.40655 -1.33155
3 N 2.37674 -0.62688 -0.93054
4 N -1.73960 1.39912 -2.46005
5 O 1.28972 -1.18900 2.30311
6 O 0.38145 -2.80712 0.70817
7 O -1.46618 2.82925 0.75412
8 O -0.46591 -0.32149 0.85098
9 S 0.52606 -1.47951 1.19852
10 S -2.21496 1.71686 0.43680

---

# C21H17KN4S

A molecular structure, C21H17KN4S at a distorted geometry (the ωB97M-V functional and the def2-TZVPD basis, the OMol25 dataset).

The LUMO energy is -0.85 eV. The net charge is 0.

Geometry (Å):
1 K 1.42270 1.15466 1.76684
2 C 2.29724 5.69086 -2.04809
3 C 2.81561 5.02206 -0.97326
4 C 2.11057 3.91130 -0.50103
5 C 0.94776 3.51589 -1.17963
6 C 0.44669 4.18569 -2.32810
7 C 1.14233 5.33054 -2.66510
8 N 0.28276 2.39236 -0.55926
9 N -0.77798 2.02817 -1.07823
10 C -1.51985 0.97633 -0.43615
11 C -2.30991 0.08774 -1.12871
12 C -2.92025 -0.97192 -0.44559
13 C -2.66198 -1.04313 0.92415
14 C -1.86983 -0.13105 1.49758
15 N -1.23323 0.86035 0.82878
Perhaps Liberty’s readers would like to know something of this new contributor. He is a young Irish workingman, who for some years past has lived in Manchester, England. There he was a Communist of the Kropotkine school, one of the most ardent workers for that cause in England, and a frequent writer for the Commonweal. Coming to this country a year and a half ago, he made Boston his home and became intimately acquainted with Liberty, of whose teachings he, like most Communists, had a very hazy conception. The closer contact with Anarchistic thought soon inspired him with great interest in it, and he frequently sought interviews with me and with other comrades for the discussion of knotty points. The result is that he has thrown his Communism overboard and is today as good an Anarchist as one would care to see.
Regarding the series of articles now begun, he writes me as follows:
Strictly speaking, Anarchism is a political rather than an economic doctrine, but it is found in practice to involve the economic aspect of society even as fundamentally as it does the political. I have long felt that Anarchistic literature—at least such of it as I am acquainted with—is lacking in a connected and scientific presentation of its economic conceptions. A correlation of the main results, accepted by competent Anarchists, of what is and is not economic truth, including the special characteristics of Anarchist economics, seems to me to be a work worthy of being accomplished.
That the articles I am engaged upon will perform this function I certainly do not claim. To well do I know my unfitness and want of preparation for such a task. Moreover, I should not care to assert that there exists the needful harmony among the believers in our doctrine in the field of economics to render such standard work possible. One thing, however, I make bold to undertake. Anarchists of some schools and nearly all other Socialists present the most hopeless confusion in their economic ideas. To dissipate some of these fallacies and endeavor to establish some principles that are sound would prove not without value. This attempt I have the temerity to make. If the effort should succeed even partially, Socialist economics will decidedly gain, and the ground would be cleared somewhat for the above-mentioned task.
The preliminary part of the series is a brief and necessarily rough outline of the political attitude of Anarchy. Forming an introduction to the economic inquiry, it is doubtless likely to prove trite enough in subject matter to the readers of Liberty. I could not avoid this risk while making the scope of my subject clear.
I hope that this too modest announcement of Mr. Bailie’s purpose will insure attentive consideration of what he has to offer.